Heritage Conservation
Policy: HC1 – Protection of the built heritage in the town centre
Historic Character
Development within the settlement should be consistent with the historic character of Newquay town and in the wider parish and aim to conserve key characteristics within developments such as for example, historic field pattern as described in the Newquay Local Landscape Character Assessment, the Cornwall and Scilly Urban Survey and the Cornwall 1994 Historic Landscape Character Assessment.
All development over 5 homes and all employment, leisure or tourism related development should detail the contribution that the development site makes to historic character and show how the development has responded positively to this.
Townscape heritage
Particular attention will be made to the conservation and enhancement of the historic character of the townscapes of Newquay, Porth and Tregurrian by ensuring the conservation and enhancement of historic fabric and architectural details. Ensure the conservation of important townscape heritage features as described in the Cornwall and Scilly Urban Survey, Newquay Report.
Designated and Non-designated heritage assets
Ensure that all heritage assets within new development sites are adequately identified and assessed by developers as part of their application including non-designated sites recorded in the Cornwall Historic Environment Record. The significance of any historic asset should be assessed in terms of its value to local people, its contribution to local distinctiveness and the history of Newquay and the readability of that history. Planning proposals will state how they will avoid, minimise and mitigate impact upon heritage assets and their wider setting, proportional to their significance.
Where it is not possible to retain a non-designated heritage asset as part of a development it should be recorded with Cornwall Council’s Historic Environment Record and lodged with the Newquay Old Cornwall Society.
Ensure that Listed Buildings and Scheduled Ancient Monuments and their setting are protected. Guard against abandonment and lack of management of listed buildings becoming a reason for their demolition. Developers will make appropriate repair and conservation works to any listed building or structure which forms part of a planning proposal.
### What comes next are records of molecules, not part of the text
........
The following is a DFT calculation (wB97M-V/def2-TZVPD) of an isolated molecule of C19H29ClN2O3S.

Structure (XYZ):
```
55
Properties=species:S:1:pos:R:3:forces:R:3
Cl 1.1910 4.1971 7.0631 0.18 0.05 0.15
S -3.3836 2.9277 2.9947 0.24 0.01 -0.39
O -4.0845 4.1302 2.6562 0.17 0.16 -0.09
O -4.1350 1.7959 3.4583 0.30 -0.05 0.12
O -0.1016 -2.0639 -1.1470 -0.19 -0.31 0.34
N -2.4409 2.5449 1.6706 -0.51 0.41 0.52
N 0.5261 -1.2141 -3.1319 0.00 0.04 -0.41
C -0.8214 1.3093 -0.6206 0.25 0.21 0.16
C -1.8518 1.2216 1.6872 0.51 -0.36 0.01
C -0.0785 3.8463 5.9517 -0.27 -0.14 -0.16
C -2.0954 3.2893 4.1814 -0.43 -0.26 -0.29
C 1.3176 -4.7465 -2.7506 0.11 0.28 0.01
C -0.0666 -2.2598 -3.9336 -0.09 -0.22 -0.24
C 1.9958 -3.7767 -3.7148 -0.06 -0.18 -0.22
C -1.2787 4.3799 3.9539 0.09 0.13 0.04
C 0.4862 1.2752 -1.4060 -0.15 -0.05 -0.11
C 0.1787 -0.1431 1.1409 0.07 0.21 0.05
C 1.2427 -0.0368 -1.1602 0.11 0.02 0.23
C -0.2595 4.6663 4.8446 -0.06 -0.04 -0.01
C -0.9016 2.7524 6.1809 0.10 0.14 -0.01
C -0.5521 1.1725 0.8779 -0.34 -0.25 0.11
C 0.9853 -3.1064 -4.6533 0.06 0.15 0.42
C 0.4885 -1.2134 -1.7802 0.43 0.49 -0.17
C 3.0522 -4.5059 -4.5436 -0.08 0.23 0.19
C -1.9193 2.4760 5.2832 -0.11 -0.07 -0.01
C 1.4752 -0.2318 0.3401 -0.17 -0.26 -0.11
H -2.5517 0.4596 1.3245 0.04 0.00 0.09
H -1.4588 4.9932 3.0862 0.08 0.14 -0.10
H 1.0902 -0.5327 -3.6143 -0.01 0.03 0.18
H 0.6757 -4.2171 -2.0523 -0.11 -0.03 0.09
H 2.0672 -5.2840 -2.1742 0.05 -0.10 0.08
H 0.0753 2.0105 1.2025 0.01 0.04 0.01
H 3.8032 -4.9523 -3.8963 0.10 -0.09 0.03
H 0.2789 1.3996 -2.4715 0.06 0.08 0.01
H 1.9326 -1.2082 0.5079 0.08 0.04 0.03
H 2.4946 -2.9980 -3.1261 -0.01 -0.01 -0.04
H 0.7209 -5.4733 -3.2981 -0.08 -0.14 -0.08
H 0.4065 -0.2347 2.2048 -0.02 -0.01 0.07
H 2.5912 -5.2983 -5.1295 -0.04 -0.13 -0.10
H -1.6378 1.0047 2.7364 0.10 -0.22 -0.06
H -0.4643 -0.9758 0.8575 -0.02 -0.03 0.08
H -1.4609 0.4860 -0.9456 -0.15 -0.04 -0.01
H -2.5866 1.6404 5.4250 -0.03 -0.12 0.07
H 1.5275 -2.4695 -5.3586 0.00 -0.01 -0.11
H -1.3390 2.2487 -0.8243 -0.07 0.02 -0.09
H 2.1723 0.5358 0.6861 0.05 0.00 -0.01
H 1.1181 2.1084 -1.0884 0.03 0.03 -0.04
H 0.4670 -3.8738 -5.2314 0.00 -0.05 -0.11
H 0.3897 5.5137 4.6902 0.05 0.06 0.00
H -0.6579 -2.8739 -3.2535 -0.02 0.08 -0.11
H -0.7461 2.1310 7.0487 0.02 -0.04 0.07
H 3.5525 -3.8217 -5.2261 0.08 0.03 -0.11
H -0.7375 -1.8081 -4.6731 -0.01 -0.09 0.11
H -2.9100 2.7828 0.8105 -0.25 0.22 -0.06
H 2.2181 0.0205 -1.6598 -0.09 -0.02 0.00
```
Forces are in eV/Å.

Output
HOMO: -9.567 eV
charge: 0
HOMO-LUMO gap: 10.0 eV
SMILES: CC(C)CCNC(=O)[C@H]1CC[C@@H](CNS(=O)(=O)c2ccc(Cl)cc2)CC1
max |F|: 0.84 eV Å⁻¹
spin multiplicity: 1

The following is a DFT calculation (wB97M-V/def2-TZVPD) of a cluster of 2 separate species, C19H29F4N2O6S in total.

Structure (XYZ):
```
61
Properties=species:S:1:pos:R:3:forces:R:3
S 1.7874 0.2646 -2.3272 -0.01 0.39 -0.61
F -5.0396 4.2324 -1.9667 2.10 -4.44 2.89
F -3.7349 2.0443 -1.7986 -2.49 4.30 2.00
F -5.6904 3.9414 1.0079 3.69 -2.81 -1.73
F 2.3421 -0.2485 2.4155 -1.14 0.80 -0.23
........
Developers should take very opportunity to enhance the enjoyment and access of heritage assets for residents and visitors, providing appropriate interpretation to further understanding of Newquay’s rich history.